The recent Winter Carnival referendum has left some students questioning Mount Allison Students’ Union (MASU) policies about submitting an issue to referendum multiple times.
Last year an increase of student fees by five dollars to fund the carnival was put to referendum, and students voted it down, with 54.2 per cent opposed, 39.4 per cent in favour, and 6.4 percent abstaining.
This year’s referendum also failed to pass. Only 29.9 per cent of the student body voted, failing to meet the requisite fifty per cent plus one. Of those who did vote, sixty-four per cent were in favour and thirty-six per cent opposed.
• Materials data, as found in the file:
/*
# 1
Starting from a crystal structure in Alexandria, relaxed with PBE, the X-ray powder pattern of Fe6Ni23Os was simulated for Cu Kα.

Principal peaks in the range 2θ from 10° to 90°, sorted by position:
d [Å]  Position (°2θ)  I/Imax
3.222  27.7  59
2.496  36.0  129
2.148  42.1  66
1.973  46.0  1000
1.860  49.0  45
1.395  67.1  134
1.354  69.4  43
1.139  85.2  249

Structure:
abc: 11.1615 11.1615 11.1615
angles: 90.00 90.00 90.00
Space group Fm-3m (No. 225)
Unique sites:
Fe (0.0000, 0.0000, 0.2394) x24
Ni (0.0000, 0.0000, 0.5000) x4
Ni (0.0000, 0.2500, 0.2500) x24
Ni (0.1261, 0.1261, 0.3739) x32
Ni (0.1419, 0.1419, 0.1419) x32
Os (0.0000, 0.0000, 0.0000) x4

***

# 2
Starting from a crystal structure in Alexandria, relaxed with PBE, the X-ray powder pattern of Fe2NiOs was simulated for Cu Kα.

Principal peaks in the range 2θ from 10° to 90°, sorted by position:
d [Å]  Position (°2θ)  I/Imax
8.283  10.7  928
4.141  21.5  206
2.137  42.3  1000
2.070  43.7  426
1.836  49.7  616
1.314  71.8  197
1.283  73.9  177
1.109  88.0  250

Structure:
abc: 2.6280 2.6280 24.8478
angles: 90.00 90.00 120.00
Space group R3m (No. 160, hexagonal axes)
Unique sites:
Fe (0.0000, 0.0000, 0.0000) x3
Fe (0.0000, 0.0000, 0.2507) x3
Ni (0.0000, 0.0000, 0.7463) x3
Os (0.0000, 0.0000, 0.5008) x3

***

# 3
Starting from a crystal structure in Alexandria, relaxed with PBE, the X-ray powder pattern of FeNiP was simulated for Cu Kα.

Principal peaks in the range 2θ from 10° to 90°, sorted by position:
d [Å]  Position (°2θ)  I/Imax
2.589  34.7  1000
2.462  36.5  195
2.298  39.2  185
2.094  43.2  765
1.905  47.7  948
1.578  58.5  154
1.522  60.9  512
1.189  80.8  181

Structure:
abc: 3.0433 3.0433 13.7887
angles: 90.00 90.00 120.00
Space group R3m (No. 160, hexagonal axes)
Unique sites:
Fe (0.0000, 0.0000, 0.0000) x3
Ni (0.0000, 0.0000, 0.8081) x3
P (0.0000, 0.0000, 0.2361) x3

***

# 4
Starting from a crystal structure in Alexandria, relaxed with PBE, the X-ray powder pattern of Fe3Ni3P2 was simulated for Cu Kα.

Principal peaks in the range 2θ from 10° to 90°, sorted by position:
d [Å]  Position (°2θ)  I/Imax
2.478  36.3  221
2.170  41.6  1000
2.118  42.7  269
2.083  43.4  544
2.012  45.1  192
1.954  46.5  847
1.812  50.4  210
1.742  52.5  323

Structure:
abc: 12.6978 4.4102 8.9735
angles: 90.00 134.87 90.00
Space group C2 (No. 5)
Unique sites:
Fe (0.0337, 0.0000, 0.1707) x4
Fe (0.0757, 0.2053, 0.6837) x4
Fe (0.1063, 0.7471, 0.5285) x4
Ni (0.1367, 0.4550, 0.1053) x4
Ni (0.1689, 0.7241, 0.8884) x4
Ni (0.2198, 0.2302, 0.5512) x4
P (0.0483, 0.4938, 0.2581) x4
P (0.2082, 0.9599, 0.1582) x4

***

# 5
Starting from a crystal structure in Alexandria, relaxed with PBE, the X-ray powder pattern of Fe2NiP was simulated for Cu Kα.

Principal peaks in the range 2θ from 10° to 90°, sorted by position:
d [Å]  Position (°2θ)  I/Imax
2.166  41.7  1000
2.118  42.7  300
2.069  43.7  528
2.009  45.1  362
1.951  46.6  965
1.802  50.7  241
1.734  52.8  283
1.259  75.5  265

Structure:
*/
During the first Student’s Administrative Council meeting of the academic year on September 16, MASU Vice-President, Campus Life, Heather Webster put forward the motion to approve a Winter Carnival referendum question. After some debate, council approved the following wording: “Do you support a five dollar increase in student fees towards the cost of winter Carnival that would ensure that all events taking place during Winter Carnival are free of charge for students?”
-- Data records from another source follow --
Structure and calculated powder diffraction line list of Ce2ThCd2In2 (a crystal structure in Alexandria, relaxed with GGA-PBE; a wavelength of 1.5418 Å).

Peak list (10 most intense, 15° ≤ 2θ ≤ 90°, by angle)
2θ (°), I/Imax
26.74, 13
31.07, 100
33.53, 19
37.47, 76
49.45, 27
50.78, 12
54.97, 12
63.22, 13
63.65, 25
67.61, 18

Structure:
a = 9.7103 Å, b = 9.7103 Å, c = 9.7103 Å
α = 28.62°, β = 28.62°, γ = 28.62°
Atoms (fractional coordinates):
Ce: 0.1446 0.1446 0.1446
Ce: 0.8554 0.8554 0.8554
Th: 0.0000 0.0000 0.0000
Cd: 0.4159 0.4159 0.4159
Cd: 0.5841 0.5841 0.5841
In: 0.2679 0.2679 0.2679
In: 0.7321 0.7321 0.7321



Structure and calculated powder diffraction line list of Ce2YCd2In2 (a crystal structure in Alexandria, relaxed with GGA-PBE; a wavelength of 1.5418 Å).

Peak list (10 most intense, 15° ≤ 2θ ≤ 90°, by angle)
2θ (°), I/Imax
31.51, 100
34.07, 14
37.40, 82
49.69, 27
52.00, 10
63.81, 25
64.42, 14
67.46, 14
79.77, 9
88.27, 11

Structure:
a = 9.4690 Å, b = 9.4690 Å, c = 9.4690 Å
α = 29.42°, β = 29.42°, γ = 29.42°
Atoms (fractional coordinates):
Ce: 0.1435 0.1435 0.1435
Ce: 0.8565 0.8565 0.8565
Y: 0.0000 0.0000 0.0000
Cd: 0.4134 0.4134 0.4134
Cd: 0.5866 0.5866 0.5866
In: 0.2701 0.2701 0.2701
In: 0.7299 0.7299 0.7299



Structure and calculated powder diffraction line list of Ce8Cd2Ir3 (a crystal structure in Alexandria, relaxed with GGA-PBE; a wavelength of 1.5418 Å).

Peak list (10 most intense, 15° ≤ 2θ ≤ 90°, by angle)
2θ (°), I/Imax
23.42, 31
28.17, 39
30.18, 100
31.37, 94
36.20, 33
36.32, 37
36.91, 83
39.16, 53
43.20, 44
43.34, 29

Structure:
a = 7.8363 Å, b = 7.8363 Å, c = 8.1233 Å
α = 109.45°, β = 109.45°, γ = 50.87°
Atoms (fractional coordinates):
Ce: 0.1145 0.6789 0.6214
Ce: 0.1301 0.1301 0.0144
Ce: 0.3211 0.8855 0.3786
Ce: 0.3559 0.3559 0.1633
Ce: 0.6441 0.6441 0.8367
Ce: 0.6789 0.1145 0.6214
Ce: 0.8699 0.8699 0.9856
Ce: 0.8855 0.3211 0.3786
Cd: 0.2466 0.2466 0.7456
Cd: 0.7534 0.7534 0.2544
Ir: 0.3027 0.6973 0.0000
Ir: 0.5000 0.5000 0.5000
Ir: 0.6973 0.3027 0.0000



Structure and calculated powder diffraction line list of Ce2CdIr (a crystal structure in Alexandria, relaxed with GGA-PBE; a wavelength of 1.5418 Å).

Peak list (10 most intense, 15° ≤ 2θ ≤ 90°, by angle)
2θ (°), I/Imax
30.47, 25
34.12, 90
34.94, 76
36.31, 100
37.19, 24
41.17, 16
51.11, 30
59.90, 21
63.41, 27
64.92, 28

Structure:
a = 6.8577 Å, b = 3.5746 Å, c = 7.7509 Å
α = 90.00°, β = 90.00°, γ = 90.00°
Atoms (fractional coordinates):
Ce: 0.0351 0.0000 0.2118
Ce: 0.4649 0.0000 0.2118
Ce: 0.5351 0.0000 0.7882
Ce: 0.9649 0.0000 0.7882
Cd: 0.2500 0.5000 0.5276
Cd: 0.7500 0.5000 0.4724
Ir: 0.2500 0.5000 0.9346
Ir: 0.7500 0.5000 0.0654



Structure and calculated powder diffraction line list of CeNdCdIr (a crystal structure in Alexandria, relaxed with GGA-PBE; a wavelength of 1.5418 Å).

Peak list (10 most intense, 15° ≤ 2θ ≤ 90°, by angle)
2θ (°), I/Imax
21.02, 4
34.65, 100
40.88, 2
49.82, 18
54.64, 1
62.10, 37
66.34, 1
73.11, 11
77.06, 1
83.51, 16

Structure:
-- End of the data records --
Natalie Brunet, a former Social Science Senator and a fourth-year student pursuing an Honours degree in International Relations, first voiced her concerns about the second iteration of the referendum question through an Off-Campus Councilor, Annie Sherry.
Brunet stated her problem was not with the idea of asking the student population for input: “Referenda are a really good idea. They are helpful because they are directly asking the student population whether they want something.” She went on to say, “If you’re going to have referenda they should be binding. Referenda are actually binding if we vote yes for them, so why is there no binding period if they are shut down?”
Webster defended the choice to resubmit the referendum question, saying, “I’m doing what students asked from me. A lot of them asked for a Winter Carnival, they want more variety in events, and people complain about our events now.”
Records of crystals, kept here for reference =
- - -
Structure and theoretical powder diffractogram of TbThZn (a DFT-relaxed cell (PBE, Alexandria); CuKα).
Neutral-atom scattering factors, no anomalous dispersion.

Crystal structure
```
TbThZn
1.0
3.5962 0.0000 0.0000
0.0000 3.5962 0.0000
0.0000 0.0000 12.4905
Tb Th Zn
2 2 2
Cartesian
0.0000 0.0000 0.0000
1.7981 1.7981 6.2452
0.0000 0.0000 3.7349
1.7981 1.7981 9.9802
0.0000 0.0000 8.0076
1.7981 1.7981 1.7623
```

Most intense lines, 2θ = 10–90°, low angle first:
d [Å]  intensity
3.456  26
3.123  12
2.722  100
2.543  45
1.972  13
1.798  16
1.611  16
1.598  10
1.500  33
1.361  9


Structure and theoretical powder diffractogram of TbTh2Zn6 (a DFT-relaxed cell (PBE, Alexandria); CuKα).
Neutral-atom scattering factors, no anomalous dispersion.

Crystal structure
```
TbTh2Zn6
1.0
6.8397 -3.9487 0.0000
6.8397 3.9487 0.0000
-0.0039 0.0000 3.5374
Tb Th Zn
1 2 6
Cartesian
0.0000 0.0000 0.0000
4.5571 0.0000 3.5371
9.1184 0.0000 0.0003
2.2528 1.3010 1.7693
11.4227 -1.3010 1.7681
2.2528 -1.3010 1.7693
6.8377 1.3463 1.7687
11.4227 1.3010 1.7681
6.8377 -1.3463 1.7687
```

Most intense lines, 2θ = 10–90°, low angle first:
d [Å]  intensity
3.949  31
2.635  100
2.280  53
1.769  8
1.724  28
1.397  22
1.375  27
1.316  9
1.140  6
1.130  7


Structure and theoretical powder diffractogram of TbThZn2 (a DFT-relaxed cell (PBE, Alexandria); CuKα).
Neutral-atom scattering factors, no anomalous dispersion.

Crystal structure
```
TbThZn2
1.0
5.1195 0.0000 0.0000
0.0000 3.6099 0.0000
0.0000 0.0000 10.3090
Tb Th Zn
2 2 4
Cartesian
1.2799 0.0000 1.2467
3.8396 0.0000 9.0623
1.2799 0.0000 6.4077
3.8396 0.0000 3.9012
1.2799 1.8050 3.7213
1.2799 1.8050 9.0413
3.8396 1.8050 1.2677
3.8396 1.8050 6.5876
```

Most intense lines, 2θ = 10–90°, low angle first:
d [Å]  intensity
3.632  20
3.610  10
2.577  20
2.560  100
1.816  14
1.805  7
1.485  14
1.478  22
1.475  7
1.280  11


Structure and theoretical powder diffractogram of TbThZr (a DFT-relaxed cell (PBE, Alexandria); CuKα).
Neutral-atom scattering factors, no anomalous dispersion.

Crystal structure
```
TbThZr
1.0
3.4820 0.0000 0.0000
-1.7410 3.0155 0.0000
0.0000 0.0000 16.6466
Tb Th Zr
2 2 2
Cartesian
0.0000 0.0000 1.6555
0.0000 0.0000 14.9911
0.0000 2.0103 4.4588
1.7410 1.0052 12.1878
0.0000 2.0103 9.5468
1.7410 1.0052 7.0998
```

Most intense lines, 2θ = 10–90°, low angle first:
d [Å]  intensity
8.323  36
2.967  100
2.835  27
2.774  37
2.650  95
2.442  74
1.867  23
1.741  42
1.475  33
1.457  23


Structure and theoretical powder diffractogram of Tb3Tl4 (a DFT-relaxed cell (PBE, Alexandria); CuKα).
Neutral-atom scattering factors, no anomalous dispersion.

Crystal structure
```
Tb3Tl4
1.0
7.1481 4.1269 2.1783
-7.1481 4.1269 2.1783
0.0000 -8.2539 2.1783
Tb Tl
6 8
Cartesian
4.3514 3.5422 3.6100
-4.3514 -3.5422 2.9248
-5.2433 1.9973 3.6100
0.8920 -5.5395 3.6100
-0.8920 5.5395 2.9248
5.2433 -1.9973 2.9248
0.0000 0.0000 0.0000
-1.0788 -3.1979 1.9755
-2.2300 2.5332 1.9755
-3.3088 -0.6646 4.5593
0.0000 0.0000 3.2674
3.3088 0.6646 1.9755
- - -
The records of crystals stop here =
MASU Vice-President, Operations and Finance Josh Outerbridge and several SAC councilors suggested that a five dollar fee increase for everyone is a more economical way for students to pay for the series of events, instead of paying an entry fee for each event.
Webster referenced last year’s quorum referendum in defending the decision to run the question again. She also stated that concerns about referenda questions being asked multiple times were “brought up at council last week, and so I think that’s something that will be changing. We’re going to reevaluate that. [… T]here are definitely some things that need to change, and that would probably be one of them.”
There is MASU precedent for repeating referenda questions. Last year the SAC twice put a referendum question forward concerning the lowering of the quorum for MASU meetings, only to have it defeated both times.
According to the union’s constitution, any referendum in which at least twenty-five per cent of members have voted is valid, and is “deemed binding if passed by at least a two-thirds (2/3) majority of MASU Members.” However, for a referendum to be considered passed by students it only needs a fifty-per-cent-plus-one approval.
Referenda are to be “the supreme policymaking forum of the MASU. Policy approved by referenda may only be amended or repealed by subsequent referenda.” MASU is constitutionally required to hold a referendum on any increase of student fees, unless it is an increase because of inflation, up to four per cent.